**Material:**
/*
This entry pairs a crystal structure of Li9Co7O16 with its theoretical X-ray diffraction stick pattern. Radiation: Cu Kα, 1.54184 Å. Structure: a crystal structure in Alexandria, relaxed with GGA+U.

Cell and atoms:
abc: 7.722 7.722 5.134
angles: 103.21 103.21 97.19
Positions (direct):
Li 0.000 0.000 0.000
Li 0.000 0.500 0.500
Li 0.124 0.876 0.500
Li 0.241 0.241 0.496
Li 0.375 0.625 0.500
Li 0.500 0.000 0.500
Li 0.625 0.375 0.500
Li 0.759 0.759 0.504
Li 0.876 0.124 0.500
Co 0.125 0.372 0.004
Co 0.244 0.756 0.000
Co 0.372 0.125 0.004
Co 0.500 0.500 0.000
Co 0.628 0.875 0.996
Co 0.756 0.244 0.000
Co 0.875 0.628 0.996
O 0.007 0.742 0.764
O 0.124 0.616 0.230
O 0.140 0.140 0.775
O 0.258 0.993 0.236
O 0.268 0.505 0.784
O 0.383 0.383 0.224
O 0.384 0.876 0.770
O 0.495 0.732 0.216
O 0.505 0.268 0.784
O 0.616 0.124 0.230
O 0.617 0.617 0.776
O 0.732 0.495 0.216
O 0.742 0.007 0.764
O 0.860 0.860 0.225
O 0.876 0.384 0.770
O 0.993 0.258 0.236

Top 6 peaks for 2θ = 10–90°, in order of rising 2θ:
2θ 18.4, rel. 100
2θ 36.2, rel. 27
2θ 43.1, rel. 28
2θ 44.0, rel. 52
2θ 63.1, rel. 15
2θ 63.4, rel. 15
*/

**Wanted:**
Write out only the lines further up with the word "Kα" in them.

**Done:**
This entry pairs a crystal structure of Li9Co7O16 with its theoretical X-ray diffraction stick pattern. Radiation: Cu Kα, 1.54184 Å. Structure: a crystal structure in Alexandria, relaxed with GGA+U.